**To do**
What is needed: copy the contents further down with every line break kept.

**Contents**
'''
This record from the Open Molecules 2025 dataset describes 7 unconnected molecules or ions with the total composition C39H71I2N5O26P3S at a distorted geometry. The level of theory is the ωB97M-V functional and the def2-TZVPD basis.

ORCA input file:
```
! RIJCOSX wB97M-V def2-TZVPD def2/J DEFGRID3
* xyz 1 1
C 2.480 -2.960 1.511
C 2.865 -2.283 0.025
I 4.776 -1.348 0.256
C 1.569 -1.541 -0.584
I 1.268 -2.427 -2.618
C 1.326 0.043 -0.446
O 1.891 0.306 0.923
N 1.703 1.048 -1.555
C 3.196 1.409 -1.722
C 3.836 2.316 -0.543
S 5.207 3.364 -1.367
C 6.095 4.274 0.014
N 7.491 4.921 0.014
N 7.703 5.451 1.287
C 6.464 5.144 2.106
O 5.411 4.428 1.324
C 0.685 2.144 -1.958
C 0.035 1.713 -3.419
N 0.937 1.936 -4.607
C 1.220 3.666 -2.232
P -0.082 4.902 -2.882
O -1.584 4.562 -2.560
O 0.336 6.485 -2.192
O 0.000 5.162 -4.637
C -0.436 1.895 -0.740
P -0.514 3.445 0.355
O -1.960 3.590 1.291
O 0.942 3.764 1.238
C -0.279 0.382 -0.040
C -1.455 -0.439 -0.833
C -2.938 -0.504 -0.147
C -3.708 0.918 0.088
C -4.167 2.011 -1.036
C -4.948 3.390 -0.558
C -5.320 3.737 1.027
C -4.910 2.616 2.151
C -4.126 1.258 1.672
P -0.804 0.172 1.799
N -0.150 -1.331 2.528
O -0.089 1.414 2.852
H 1.421 -3.458 1.517
H 3.266 -3.851 1.629
H 2.691 -2.229 2.400
H 3.051 -3.258 -0.648
H 0.657 -2.047 0.013
H 1.775 1.297 1.036
H 1.635 0.496 -2.465
H 3.388 2.011 -2.738
H 3.723 0.376 -1.940
H 3.121 3.087 -0.026
H 4.318 1.682 0.346
H 6.292 5.419 3.240
H -0.986 2.283 -3.660
H -0.271 0.560 -3.477
H 0.622 2.704 -5.236
H 1.947 1.984 -4.367
H 1.719 4.187 -1.280
H 2.091 3.711 -3.049
H -0.104 6.570 -1.296
H -0.661 4.527 -5.080
H -1.425 2.043 -1.394
H -1.903 3.167 2.196
H 0.945 4.776 1.371
H -1.184 -1.589 -1.020
H -1.663 -0.038 -1.940
H -3.025 -1.265 0.771
H -3.609 -1.051 -0.979
H -3.915 1.784 -2.180
H -5.261 4.228 -1.346
H -5.865 4.725 1.367
H -5.143 2.734 3.311
H -3.843 0.470 2.512
H 0.818 -1.222 2.883
H -0.308 -2.174 1.951
H 0.783 1.048 3.231
C -5.893 -1.572 -4.407
O -4.940 -1.941 -5.401
C -3.662 -1.592 -5.106
O -3.292 -1.011 -4.097
O -2.868 -2.000 -6.127
C -1.485 -1.697 -5.953
H -6.880 -1.899 -4.747
H -5.674 -2.069 -3.457
H -5.917 -0.485 -4.280
H -1.089 -2.200 -5.064
H -1.332 -0.615 -5.887
H -0.944 -2.068 -6.828
C 10.791 -4.066 3.813
O 10.401 -2.695 3.770
C 9.115 -2.493 3.387
O 8.309 -3.362 3.091
O 8.880 -1.156 3.390
C 7.556 -0.792 3.005
H 11.836 -4.110 4.131
H 10.186 -4.618 4.540
H 10.714 -4.521 2.820
H 6.822 -1.212 3.700
H 7.350 -1.115 1.979
H 7.481 0.298 3.043
C -11.088 0.633 -5.754
O -10.378 1.051 -6.919
C -9.176 0.444 -7.088
O -8.685 -0.394 -6.347
O -8.615 0.930 -8.223
C -7.337 0.377 -8.530
H -12.033 1.182 -5.719
H -11.313 -0.437 -5.802
H -10.518 0.871 -4.849
H -7.412 -0.704 -8.689
H -6.618 0.604 -7.737
H -6.983 0.837 -9.457
C -9.839 4.933 5.535
O -9.270 6.222 5.317
C -8.330 6.260 4.339
O -7.957 5.312 3.666
O -7.878 7.536 4.239
C -6.876 7.727 3.242
H -10.577 5.020 6.337
H -10.350 4.579 4.633
H -9.070 4.220 5.850
H -7.269 7.485 2.249
H -5.989 7.126 3.465
H -6.588 8.781 3.250
C 7.104 -3.934 6.323
O 7.220 -4.407 7.664
C 7.870 -5.591 7.784
O 8.340 -6.248 6.867
O 7.908 -5.920 9.100
C 8.568 -7.153 9.378
H 6.568 -2.981 6.346
H 8.094 -3.761 5.888
H 6.529 -4.638 5.713
H 9.616 -7.109 9.065
H 8.051 -7.986 8.891
H 8.538 -7.315 10.459
C -0.151 -6.570 -2.658
O 0.453 -7.650 -1.948
C 1.269 -7.266 -0.935
O 1.510 -6.115 -0.605
O 1.771 -8.383 -0.351
C 2.653 -8.130 0.740
H -0.781 -6.993 -3.445
H -0.784 -5.976 -1.991
H 0.613 -5.943 -3.129
H 2.132 -7.598 1.543
H 3.529 -7.565 0.405
H 2.994 -9.093 1.130
*
```

Properties
E_HOMO	-0.3665	Eh
largest force on an atom	0.146	hartree/bohr
gap between HOMO and LUMO	6.869	eV



This record from the Open Molecules 2025 dataset describes 10 unconnected molecules or ions with the total composition C22H63N11O14 at a distorted geometry. The level of theory is the ωB97M-V functional and the def2-TZVPD basis.

ORCA input file:
```
! RIJCOSX wB97M-V def2-TZVPD def2/J DEFGRID3
* xyz 1 2
C -1.872 2.331 -4.130
C -2.397 2.501 -2.710
C -3.077 3.947 -2.628
C -4.391 4.094 -3.408
'''

**Outcome**
This record from the Open Molecules 2025 dataset describes 7 unconnected molecules or ions with the total composition C39H71I2N5O26P3S at a distorted geometry. The level of theory is the ωB97M-V functional and the def2-TZVPD basis.

ORCA input file:
```
! RIJCOSX wB97M-V def2-TZVPD def2/J DEFGRID3
* xyz 1 1
C 2.480 -2.960 1.511
C 2.865 -2.283 0.025
I 4.776 -1.348 0.256
C 1.569 -1.541 -0.584
I 1.268 -2.427 -2.618
C 1.326 0.043 -0.446
O 1.891 0.306 0.923
N 1.703 1.048 -1.555
C 3.196 1.409 -1.722
C 3.836 2.316 -0.543
S 5.207 3.364 -1.367
C 6.095 4.274 0.014
N 7.491 4.921 0.014
N 7.703 5.451 1.287
C 6.464 5.144 2.106
O 5.411 4.428 1.324
C 0.685 2.144 -1.958
C 0.035 1.713 -3.419
N 0.937 1.936 -4.607
C 1.220 3.666 -2.232
P -0.082 4.902 -2.882
O -1.584 4.562 -2.560
O 0.336 6.485 -2.192
O 0.000 5.162 -4.637
C -0.436 1.895 -0.740
P -0.514 3.445 0.355
O -1.960 3.590 1.291
O 0.942 3.764 1.238
C -0.279 0.382 -0.040
C -1.455 -0.439 -0.833
C -2.938 -0.504 -0.147
C -3.708 0.918 0.088
C -4.167 2.011 -1.036
C -4.948 3.390 -0.558
C -5.320 3.737 1.027
C -4.910 2.616 2.151
C -4.126 1.258 1.672
P -0.804 0.172 1.799
N -0.150 -1.331 2.528
O -0.089 1.414 2.852
H 1.421 -3.458 1.517
H 3.266 -3.851 1.629
H 2.691 -2.229 2.400
H 3.051 -3.258 -0.648
H 0.657 -2.047 0.013
H 1.775 1.297 1.036
H 1.635 0.496 -2.465
H 3.388 2.011 -2.738
H 3.723 0.376 -1.940
H 3.121 3.087 -0.026
H 4.318 1.682 0.346
H 6.292 5.419 3.240
H -0.986 2.283 -3.660
H -0.271 0.560 -3.477
H 0.622 2.704 -5.236
H 1.947 1.984 -4.367
H 1.719 4.187 -1.280
H 2.091 3.711 -3.049
H -0.104 6.570 -1.296
H -0.661 4.527 -5.080
H -1.425 2.043 -1.394
H -1.903 3.167 2.196
H 0.945 4.776 1.371
H -1.184 -1.589 -1.020
H -1.663 -0.038 -1.940
H -3.025 -1.265 0.771
H -3.609 -1.051 -0.979
H -3.915 1.784 -2.180
H -5.261 4.228 -1.346
H -5.865 4.725 1.367
H -5.143 2.734 3.311
H -3.843 0.470 2.512
H 0.818 -1.222 2.883
H -0.308 -2.174 1.951
H 0.783 1.048 3.231
C -5.893 -1.572 -4.407
O -4.940 -1.941 -5.401
C -3.662 -1.592 -5.106
O -3.292 -1.011 -4.097
O -2.868 -2.000 -6.127
C -1.485 -1.697 -5.953
H -6.880 -1.899 -4.747
H -5.674 -2.069 -3.457
H -5.917 -0.485 -4.280
H -1.089 -2.200 -5.064
H -1.332 -0.615 -5.887
H -0.944 -2.068 -6.828
C 10.791 -4.066 3.813
O 10.401 -2.695 3.770
C 9.115 -2.493 3.387
O 8.309 -3.362 3.091
O 8.880 -1.156 3.390
C 7.556 -0.792 3.005
H 11.836 -4.110 4.131
H 10.186 -4.618 4.540
H 10.714 -4.521 2.820
H 6.822 -1.212 3.700
H 7.350 -1.115 1.979
H 7.481 0.298 3.043
C -11.088 0.633 -5.754
O -10.378 1.051 -6.919
C -9.176 0.444 -7.088
O -8.685 -0.394 -6.347
O -8.615 0.930 -8.223
C -7.337 0.377 -8.530
H -12.033 1.182 -5.719
H -11.313 -0.437 -5.802
H -10.518 0.871 -4.849
H -7.412 -0.704 -8.689
H -6.618 0.604 -7.737
H -6.983 0.837 -9.457
C -9.839 4.933 5.535
O -9.270 6.222 5.317
C -8.330 6.260 4.339
O -7.957 5.312 3.666
O -7.878 7.536 4.239
C -6.876 7.727 3.242
H -10.577 5.020 6.337
H -10.350 4.579 4.633
H -9.070 4.220 5.850
H -7.269 7.485 2.249
H -5.989 7.126 3.465
H -6.588 8.781 3.250
C 7.104 -3.934 6.323
O 7.220 -4.407 7.664
C 7.870 -5.591 7.784
O 8.340 -6.248 6.867
O 7.908 -5.920 9.100
C 8.568 -7.153 9.378
H 6.568 -2.981 6.346
H 8.094 -3.761 5.888
H 6.529 -4.638 5.713
H 9.616 -7.109 9.065
H 8.051 -7.986 8.891
H 8.538 -7.315 10.459
C -0.151 -6.570 -2.658
O 0.453 -7.650 -1.948
C 1.269 -7.266 -0.935
O 1.510 -6.115 -0.605
O 1.771 -8.383 -0.351
C 2.653 -8.130 0.740
H -0.781 -6.993 -3.445
H -0.784 -5.976 -1.991
H 0.613 -5.943 -3.129
H 2.132 -7.598 1.543
H 3.529 -7.565 0.405
H 2.994 -9.093 1.130
*
```

Properties
E_HOMO	-0.3665	Eh
largest force on an atom	0.146	hartree/bohr
gap between HOMO and LUMO	6.869	eV



This record from the Open Molecules 2025 dataset describes 10 unconnected molecules or ions with the total composition C22H63N11O14 at a distorted geometry. The level of theory is the ωB97M-V functional and the def2-TZVPD basis.

ORCA input file:
```
! RIJCOSX wB97M-V def2-TZVPD def2/J DEFGRID3
* xyz 1 2
C -1.872 2.331 -4.130
C -2.397 2.501 -2.710
C -3.077 3.947 -2.628
C -4.391 4.094 -3.408